Principal Welch's Weekly Update
February 10th, 2025
Parent-Teacher Conferences: Thursday, February 13th 4:30-6:30 p.m.
If you are interested in setting up an appointment to have a conference with a teacher, please reach out to the teacher through email. All email addresses are listed on our website or can be found utilizing ParentVUE/StudentVUE.
❤️Friday, February 14th: Half Day Student Release at 11:25 a.m.❤
Half day early release following Parent-Teacher conferences.
Exciting News for RUHS
The Tucson Unified School District is thrilled to announce that Davis Bilingual Elementary Magnet School, Rincon / University High School, and Tucson High Magnet School will soon see significant improvements in their instructional learning spaces, thanks to the support of the Bond Oversight Committee, the Tucson Unified Governing Board, and Tucson community. At Davis and Rincon/University, the bond program will replace portable classrooms with modern, permanent learning spaces for students. For Tucson High, the bond program will focus on long-awaited renovations and repairs to the Vocational “V” Building modernizing classrooms spaces for students.
The conceptual and design-build phase will run from February 2025, through June 2025. During this time, the Design-Build team will collaborate with each school’s administration to provide conceptual classroom designs for new learning spaces to meet both current and future enrollment needs.
Construction is expected to be completed by the 2027-2028 school year, providing students and staff with state-of-the-art facilities to support their educational journey.
Stay tuned for updates on this exciting project as we work together to create better learning spaces for our community!
Student Safety Before and After School
Please respect these SAFETY traffic laws at the South gate that preclude them from dropping their student off there:
- There is No Parking, Stopping, Standing during school hours going East on 8th Street from Mountain View to Arcadia from 7:30 am to 4 pm on School Days.
- There is No Parking Anytime going North on Arcadia from 10th Street to 8th Street.
- Do not drop students off at the EXIT gate.
The students walking across the street are dodging vehicles going in not just 2 directions, but 3, creating blind spot corners without room for cars to navigate safely.
We aim to get all parties on the same page: Sierra Estates Neighbors, RUHS students/parents, RUHS admin and TPD. The DANGER brought upon the students and pedestrians by illegally dropping students off on 8th St. between Mountain View and Arcadia and Arcadia from 10th St. to 8th St. is palpable.
Prioritizing SAFETY for students and pedestrians is a high priority! Please use caution.
Please see the attached drop-off, pick-up loop as a refresher, remembering to not stop and let students out until you have made the right hand turn next to the auto shop garage bay doors.
PTA Needs Your Support: Teacher Appreciation & Senior Graduation Events
Do you have a senior graduating this year? Would you like to help make their graduation more exciting? Do you appreciate Rincon teachers and would like to thank them for their work? We need your help!
Please contact our PTA President Georgina Carrillo-Gaxiola by email or Angelina Merritt to inquire about ways you can help or donations you could make to support upcoming special events.
College and Career Updates
Someone pasted materials data at this point =
- - -
This entry pairs a crystal structure of ZnFeAsO5 with its simulated powder X-ray diffraction pattern. Radiation: Cu Kα (λ = 1.5418 Å). Structure: a cell relaxed with GGA+U.
Lines closer than 0.1° are merged.

Structural model:
Cell: 6.200 8.120 8.418 Å, 90.00 90.04 90.00°
Space group P2_1 (No. 4)
One atom of each set of equivalent atoms:
Zn: 0.050 0.000 0.063 (multiplicity 2)
Zn: 0.445 0.387 0.561 (multiplicity 2)
Fe: 0.246 0.446 0.245 (multiplicity 2)
Fe: 0.260 0.953 0.745 (multiplicity 2)
As: 0.015 0.104 0.426 (multiplicity 2)
As: 0.490 0.296 0.925 (multiplicity 2)
O: 0.006 0.057 0.848 (multiplicity 2)
O: 0.010 0.795 0.664 (multiplicity 2)
O: 0.050 0.957 0.281 (multiplicity 2)
O: 0.219 0.563 0.468 (multiplicity 2)
O: 0.238 0.105 0.549 (multiplicity 2)
O: 0.265 0.298 0.046 (multiplicity 2)
O: 0.277 0.836 0.970 (multiplicity 2)
O: 0.456 0.438 0.779 (multiplicity 2)
O: 0.489 0.602 0.163 (multiplicity 2)
O: 0.499 0.339 0.346 (multiplicity 2)

The 6 most intense peaks (10° ≤ 2θ ≤ 90°), low angle first:
- 20.9 deg, intensity 46, hkl 1 1 -1
- 21.9 deg, intensity 50, hkl 0 2 0
- 26.2 deg, intensity 100, hkl 1 2 0
- 28.3 deg, intensity 60, hkl 1 2 -1
- 32.7 deg, intensity 73, hkl 2 1 -1
- 33.8 deg, intensity 59, hkl 0 1 3


Record 1
Structure and simulated X-ray diffraction stick pattern of NdTlS2 (a cell relaxed with GGA-PBE; a wavelength of 1.5418 Å).
Peak positions follow from Bragg's law for the DFT cell and can differ from measured ones.

Principal peaks in the range 2θ from 10° to 90°, in order of rising 2θ:
2theta	d_spacing	I/Imax
23.71	3.753	28
25.81	3.452	63
29.30	3.049	100
40.57	2.224	38
43.21	2.094	35
47.53	1.913	15
49.88	1.828	24
53.06	1.726	19
66.97	1.397	16
70.75	1.332	16

Structural model:
Unit cell a=7.886 b=7.886 c=7.886 alpha=30.79 beta=30.79 gamma=30.79
Positions (direct):
Nd (0.000, 0.000, 0.000)
Tl (0.500, 0.500, 0.500)
S (0.265, 0.265, 0.265)
S (0.735, 0.735, 0.735)

***

Record 2
Structure and simulated X-ray diffraction stick pattern of Nd4Tm11S22 (a cell relaxed with GGA-PBE; a wavelength of 1.5418 Å).
Peak positions follow from Bragg's law for the DFT cell and can differ from measured ones.

Principal peaks in the range 2θ from 10° to 90°, in order of rising 2θ:
2theta	d_spacing	I/Imax
23.65	3.763	80
24.40	3.648	100
25.11	3.546	38
26.60	3.351	59
27.54	3.239	48
27.86	3.202	62
31.72	2.821	63
34.18	2.624	55
42.36	2.134	55
46.38	1.958	50

Structural model:
Unit cell a=19.540 b=19.540 c=11.292 alpha=91.40 beta=91.40 gamma=11.50
Positions (direct):
Nd (0.105, 0.105, 0.013)
Nd (0.367, 0.367, 0.348)
Nd (0.633, 0.633, 0.652)
Nd (0.895, 0.895, 0.987)
Tm (0.000, 0.000, 0.000)
Tm (0.070, 0.070, 0.361)
Tm (0.202, 0.202, 0.942)
Tm (0.264, 0.264, 0.352)
Tm (0.342, 0.342, 0.699)
Tm (0.462, 0.462, 0.270)
Tm (0.538, 0.538, 0.730)
Tm (0.658, 0.658, 0.301)
Tm (0.736, 0.736, 0.648)
Tm (0.798, 0.798, 0.058)
Tm (0.930, 0.930, 0.639)
S (0.008, 0.008, 0.240)
S (0.088, 0.088, 0.754)
S (0.135, 0.135, 0.453)
S (0.169, 0.169, 0.151)
- - -
Student Announcements
- Valentine Spirit Week:
Monday: Pajama Day: Start the week in comfort!
Tuesday: Perfect Pair: Team up with a friend and dress either as twins or as a dynamic duo like Mario and Luigi, Ken and Barbie, etc.
Wednesday: Wear Pink: Super simple!
Thursday: Show Your Team Love: Wear your gear for your favorite team!
Friday: Cupid's Colors: Wear red if you're taken, pink if you're crushing/it's complicated, and white if you're single.
- Batter up! The Arizona Diamondbacks are running an Attendance Matters campaign for the month of February. Any Rincon student with perfect attendance for the month of February will receive a complimentary ticket offer to a Diamondback's home game. Please see Ms. Callahan in the E. Library for more information.
- M.A.N.O.S. is hosting an AP prep book drive in the Library from February 3-February 15. Please bring in used SAT, ACT, and AP prep books you no longer need to the M.A.N.O.S. resource book drive bin in the library. Collected books will be made available to the student body to prepare for their upcoming exams.
- ELD Tutoring for Spanish Speakers Announcement: Las tutorías en español se llevarán a cabo los martes y jueves de 3:15 a 4:15 pm en la biblioteca después de clases. Ven a practicar conversación en inglés y obtén ayuda con tus tareas con el apoyo en español de tus compañeros y compañeras de Rincón.
- Rincon students who submitted their online registration for the African American Youth Heritage Day event on February 28 at Pima Community College. Please see Ms. Ooka in room T5 to pick up your field trip form. If you are no longer able to attend the event, please contact Ms. Ooka so that another student on the waitlist may participate. Thank you.
- Rincon students, student council is selling Valentine Grams that will be on sale during first lunch for $5! Send a special note, eternal rose, and bag of chocolates to a person of your choice to be delivered during 4th period on Valentine’s Day! Keep an eye out for our booth at lunch starting today!
- Also, the next RUHS blood drive is coming up on Wednesday, the 26th of this month in the North Gym. Students and staff can sign up now to donate by scanning the QR code on the flyers around campus, or they can come to room 127 and see Mr. McDonough before or after school for more information and permission slips.
- RUHS athletics t-shirts are now on sale in the finance office. Prices are $15 for one shirt or $25 for two!
Faculty and Staff Recognition
Counselor, Kat Kaderabek: Ms. Kaderabek consistently goes above and beyond in her role as school counselor, frequently taking initiative and going beyond the call of duty to support students both on her caseload and not. Kat is a fierce advocate of all Rincon students and their best interests, so it is not surprising that she has built positive and lasting relationships with dozens of students in the three years she has been at Rincon.
Health Office Assistant, Erika Arenas: Erika has worked at our school for many years and has helped countless students with all their medical needs. Erika is the kindest person anyone will ever meet and always has a smile on her face. She is always willing to help on whatever is needed and is the total team player. Rincon is an amazing place for our students, staff and families because of people like Erika. We are so fortunate to have her as part of our Ranger Family all these years!!!!!